**Contents:**
+++
(1)
ORCA calculation (ωB97M-V/def2-TZVPD) on C4H6N2 in the gas phase at a distorted geometry.

Computed properties:
Molar mass (g mol⁻¹): 82.1
Max |F| (eV/Å): 1.87
Orbital gap (Ha): 0.369
Energy above the lowest of the compared OMol25 structures with the same formula, charge and spin (kJ/mol): 113.5
Energy (Ha): -265.49234

Structure (ORCA input):
```
! wB97M-V def2-TZVPD RIJCOSX def2/J DEFGRID3
* xyz 0 1
C 0.91 0.67 -1.46
C 0.14 0.27 -0.26
C -0.85 -0.64 -0.16
N -1.16 -0.83 1.21
C -0.34 0.12 1.83
N 0.41 0.79 1.01
H 0.48 0.20 -2.35
H 1.96 0.35 -1.38
H 0.90 1.75 -1.58
H -1.40 -1.23 -0.88
H -0.67 -1.74 1.12
H -0.38 0.30 2.90
*
```


(2)
ORCA calculation (ωB97M-V/def2-TZVPD) on C4H7NO in the gas phase.

Computed properties:
Molar mass (g mol⁻¹): 85.1
Max |F| (eV/Å): 0.38
Orbital gap (Ha): 0.406
Energy above the lowest of the compared OMol25 structures with the same formula, charge and spin (kJ/mol): 192.1
Energy (Ha): -286.55849

Structure (ORCA input):
```
! wB97M-V def2-TZVPD RIJCOSX def2/J DEFGRID3
* xyz 0 1
N 2.37 0.73 0.59
C 1.13 0.90 0.42
C -0.37 -1.65 0.04
C -1.21 -0.65 -0.21
C -0.80 0.65 -0.85
O 0.61 0.84 -0.83
H 2.58 0.82 1.58
H 0.69 -1.58 -0.21
H -0.70 -2.57 0.51
H 0.38 1.09 1.20
H -2.27 -0.73 0.05
H -1.31 1.50 -0.37
H -1.08 0.66 -1.91
*
```


(3)
ORCA calculation (ωB97M-V/def2-TZVPD) on 4 unconnected molecules or ions with the total composition C17H37O7P at a distorted geometry.

Computed properties:
Molar mass (g mol⁻¹): 384.4
Max |F| (eV/Å): 4.53
Orbital gap (Ha): 0.090
Energy (Ha): -1537.74252

Structure (ORCA input):
```
! wB97M-V def2-TZVPD RIJCOSX def2/J DEFGRID3
* xyz -2 1
C -1.77 1.38 0.93
C -1.10 0.92 0.03
C -0.44 0.09 -1.10
C 1.08 0.47 -1.28
C 2.09 -0.58 -0.72
C 1.74 -2.07 -1.10
C 1.28 -2.83 0.22
O 0.86 -4.12 -0.27
P 2.24 -4.55 -1.31
C 1.15 -4.67 -2.91
O -0.09 -4.86 -2.78
O 1.75 -4.57 -4.09
O 2.77 -2.89 -1.65
H -2.58 1.65 1.63
H -0.99 0.40 -2.04
H -0.64 -0.99 -0.95
H 1.28 0.67 -2.37
H 1.26 1.45 -0.76
H 3.11 -0.37 -1.15
H 2.19 -0.46 0.38
H 0.97 -2.02 -1.92
H 2.15 -3.09 0.89
H 0.53 -2.27 0.85
H 1.82 -5.94 -1.02
H 3.33 -5.20 -2.05
H 3.13 -4.69 -0.16
C -4.71 -1.14 0.14
C -5.48 0.08 -0.35
C -6.50 -0.30 -1.42
O -4.57 1.04 -0.87
H -4.16 -1.61 -0.68
H -3.98 -0.86 0.90
H -5.39 -1.89 0.56
H -5.99 0.55 0.49
H -6.00 -0.73 -2.29
H -7.03 0.59 -1.77
H -7.22 -1.02 -1.04
H -4.10 0.63 -1.62
C 5.97 1.78 -1.79
C 4.93 1.56 -2.88
C 5.27 2.34 -4.14
O 3.65 1.97 -2.40
H 6.02 2.84 -1.51
H 5.70 1.23 -0.89
H 6.96 1.46 -2.13
H 4.86 0.50 -3.11
H 5.30 3.42 -3.94
H 4.51 2.18 -4.91
H 6.24 2.04 -4.54
H 3.69 2.91 -2.19
C -1.33 1.67 6.30
C -1.79 2.50 5.12
C -2.76 3.59 5.56
O -2.41 1.67 4.15
H -2.18 1.16 6.77
H -0.64 0.89 5.97
H -0.83 2.28 7.05
H -0.92 2.96 4.64
H -3.66 3.15 6.00
H -3.09 4.18 4.70
H -2.30 4.26 6.29
H -3.18 1.25 4.56
*
```


(4)
ORCA calculation (ωB97M-V/def2-TZVPD) on a molecular structure, C18H17CaFKN2O10 at a distorted geometry.

Computed properties:
Molar mass (g mol⁻¹): 519.5
Max |F| (eV/Å): 11.82
Orbital gap (Ha): 0.054
Energy (Ha): -2934.28644

Structure (ORCA input):
```
! wB97M-V def2-TZVPD RIJCOSX def2/J DEFGRID3
* xyz 1 1
C 1.95 5.44 0.35
O 1.46 4.30 -0.44
C 0.70 3.33 0.36
C 1.46 1.90 0.62
C 0.90 0.59 0.09
O -0.34 0.50 -0.73
C 1.66 -0.85 0.41
O 1.62 -1.94 -0.37
C 2.57 -0.94 1.80
C 2.90 -2.33 2.62
C 3.84 -2.39 3.99
N 4.11 -3.71 4.69
C 4.49 -0.96 4.52
C 4.16 0.42 3.69
N 4.78 1.74 4.16
C 5.97 1.81 3.42
O 6.80 2.11 2.38
C 3.22 0.48 2.36
C 2.84 1.86 1.51
O 3.62 2.95 1.54
H 1.46 5.57 1.40
H 1.66 6.42 -0.27
H 3.12 5.44 0.44
H 0.30 3.72 1.39
H -0.28 3.07 -0.28
H -0.15 0.86 -1.66
H 2.45 -3.33 2.21
H 4.48 -3.56 5.66
H 3.23 -4.27 4.73
H 5.16 -0.99 5.50
K 6.34 -2.44 6.09
C -3.66 -0.90 -1.31
O -2.73 -0.52 -2.06
O -3.24 -1.00 -0.05
O -4.86 -1.18 -1.54
H -2.34 -0.72 -0.31
Ca 4.97 -3.98 2.33
O -5.34 -3.71 -6.56
C -5.83 -2.77 -5.96
O -7.15 -2.42 -6.03
C -7.35 -1.21 -5.30
C -6.20 -1.13 -4.33
C -5.08 -1.80 -5.10
H -7.36 -0.37 -6.00
H -8.31 -1.25 -4.78
H -5.96 -0.11 -4.02
H -6.43 -1.71 -3.43
H -4.55 -1.10 -5.73
H -4.40 -2.33 -4.43
+++

**Work order:**
Please duplicate all of the lines further above unchanged.

**Completed:**
(1)
ORCA calculation (ωB97M-V/def2-TZVPD) on C4H6N2 in the gas phase at a distorted geometry.

Computed properties:
Molar mass (g mol⁻¹): 82.1
Max |F| (eV/Å): 1.87
Orbital gap (Ha): 0.369
Energy above the lowest of the compared OMol25 structures with the same formula, charge and spin (kJ/mol): 113.5
Energy (Ha): -265.49234

Structure (ORCA input):
```
! wB97M-V def2-TZVPD RIJCOSX def2/J DEFGRID3
* xyz 0 1
C 0.91 0.67 -1.46
C 0.14 0.27 -0.26
C -0.85 -0.64 -0.16
N -1.16 -0.83 1.21
C -0.34 0.12 1.83
N 0.41 0.79 1.01
H 0.48 0.20 -2.35
H 1.96 0.35 -1.38
H 0.90 1.75 -1.58
H -1.40 -1.23 -0.88
H -0.67 -1.74 1.12
H -0.38 0.30 2.90
*
```


(2)
ORCA calculation (ωB97M-V/def2-TZVPD) on C4H7NO in the gas phase.

Computed properties:
Molar mass (g mol⁻¹): 85.1
Max |F| (eV/Å): 0.38
Orbital gap (Ha): 0.406
Energy above the lowest of the compared OMol25 structures with the same formula, charge and spin (kJ/mol): 192.1
Energy (Ha): -286.55849

Structure (ORCA input):
```
! wB97M-V def2-TZVPD RIJCOSX def2/J DEFGRID3
* xyz 0 1
N 2.37 0.73 0.59
C 1.13 0.90 0.42
C -0.37 -1.65 0.04
C -1.21 -0.65 -0.21
C -0.80 0.65 -0.85
O 0.61 0.84 -0.83
H 2.58 0.82 1.58
H 0.69 -1.58 -0.21
H -0.70 -2.57 0.51
H 0.38 1.09 1.20
H -2.27 -0.73 0.05
H -1.31 1.50 -0.37
H -1.08 0.66 -1.91
*
```


(3)
ORCA calculation (ωB97M-V/def2-TZVPD) on 4 unconnected molecules or ions with the total composition C17H37O7P at a distorted geometry.

Computed properties:
Molar mass (g mol⁻¹): 384.4
Max |F| (eV/Å): 4.53
Orbital gap (Ha): 0.090
Energy (Ha): -1537.74252

Structure (ORCA input):
```
! wB97M-V def2-TZVPD RIJCOSX def2/J DEFGRID3
* xyz -2 1
C -1.77 1.38 0.93
C -1.10 0.92 0.03
C -0.44 0.09 -1.10
C 1.08 0.47 -1.28
C 2.09 -0.58 -0.72
C 1.74 -2.07 -1.10
C 1.28 -2.83 0.22
O 0.86 -4.12 -0.27
P 2.24 -4.55 -1.31
C 1.15 -4.67 -2.91
O -0.09 -4.86 -2.78
O 1.75 -4.57 -4.09
O 2.77 -2.89 -1.65
H -2.58 1.65 1.63
H -0.99 0.40 -2.04
H -0.64 -0.99 -0.95
H 1.28 0.67 -2.37
H 1.26 1.45 -0.76
H 3.11 -0.37 -1.15
H 2.19 -0.46 0.38
H 0.97 -2.02 -1.92
H 2.15 -3.09 0.89
H 0.53 -2.27 0.85
H 1.82 -5.94 -1.02
H 3.33 -5.20 -2.05
H 3.13 -4.69 -0.16
C -4.71 -1.14 0.14
C -5.48 0.08 -0.35
C -6.50 -0.30 -1.42
O -4.57 1.04 -0.87
H -4.16 -1.61 -0.68
H -3.98 -0.86 0.90
H -5.39 -1.89 0.56
H -5.99 0.55 0.49
H -6.00 -0.73 -2.29
H -7.03 0.59 -1.77
H -7.22 -1.02 -1.04
H -4.10 0.63 -1.62
C 5.97 1.78 -1.79
C 4.93 1.56 -2.88
C 5.27 2.34 -4.14
O 3.65 1.97 -2.40
H 6.02 2.84 -1.51
H 5.70 1.23 -0.89
H 6.96 1.46 -2.13
H 4.86 0.50 -3.11
H 5.30 3.42 -3.94
H 4.51 2.18 -4.91
H 6.24 2.04 -4.54
H 3.69 2.91 -2.19
C -1.33 1.67 6.30
C -1.79 2.50 5.12
C -2.76 3.59 5.56
O -2.41 1.67 4.15
H -2.18 1.16 6.77
H -0.64 0.89 5.97
H -0.83 2.28 7.05
H -0.92 2.96 4.64
H -3.66 3.15 6.00
H -3.09 4.18 4.70
H -2.30 4.26 6.29
H -3.18 1.25 4.56
*
```


(4)
ORCA calculation (ωB97M-V/def2-TZVPD) on a molecular structure, C18H17CaFKN2O10 at a distorted geometry.

Computed properties:
Molar mass (g mol⁻¹): 519.5
Max |F| (eV/Å): 11.82
Orbital gap (Ha): 0.054
Energy (Ha): -2934.28644

Structure (ORCA input):
```
! wB97M-V def2-TZVPD RIJCOSX def2/J DEFGRID3
* xyz 1 1
C 1.95 5.44 0.35
O 1.46 4.30 -0.44
C 0.70 3.33 0.36
C 1.46 1.90 0.62
C 0.90 0.59 0.09
O -0.34 0.50 -0.73
C 1.66 -0.85 0.41
O 1.62 -1.94 -0.37
C 2.57 -0.94 1.80
C 2.90 -2.33 2.62
C 3.84 -2.39 3.99
N 4.11 -3.71 4.69
C 4.49 -0.96 4.52
C 4.16 0.42 3.69
N 4.78 1.74 4.16
C 5.97 1.81 3.42
O 6.80 2.11 2.38
C 3.22 0.48 2.36
C 2.84 1.86 1.51
O 3.62 2.95 1.54
H 1.46 5.57 1.40
H 1.66 6.42 -0.27
H 3.12 5.44 0.44
H 0.30 3.72 1.39
H -0.28 3.07 -0.28
H -0.15 0.86 -1.66
H 2.45 -3.33 2.21
H 4.48 -3.56 5.66
H 3.23 -4.27 4.73
H 5.16 -0.99 5.50
K 6.34 -2.44 6.09
C -3.66 -0.90 -1.31
O -2.73 -0.52 -2.06
O -3.24 -1.00 -0.05
O -4.86 -1.18 -1.54
H -2.34 -0.72 -0.31
Ca 4.97 -3.98 2.33
O -5.34 -3.71 -6.56
C -5.83 -2.77 -5.96
O -7.15 -2.42 -6.03
C -7.35 -1.21 -5.30
C -6.20 -1.13 -4.33
C -5.08 -1.80 -5.10
H -7.36 -0.37 -6.00
H -8.31 -1.25 -4.78
H -5.96 -0.11 -4.02
H -6.43 -1.71 -3.43
H -4.55 -1.10 -5.73
H -4.40 -2.33 -4.43